How to Get Better at Journaling: Proven Tips & Tricks

Journaling can be a magical adventure. It’s like a treasure chest for your thoughts and feelings. But sometimes, we might need a little help to get better at it. Are you ready to become a journaling wizard? Let’s go on this quest together!


Why Journal?

Everyone journals for their own reasons. Maybe you want to remember your day. Or you might want to understand your feelings better. Keeping a journal is like having a talk with your future self. It’s a way to see how much you’ve grown!

Finding Your Perfect Journal

Start by picking a journal that makes you smile. It could have kittens on it or be a color you love. When you like your journal, you’ll want to write in it more!

Getting Creative with Journaling

Your journal is a playground for your mind! You can write, draw, or even put stickers in it. There are different types of journals, like:

  • A Bullet Journal for keeping track of fun things.
  • A Gratitude Journal to remember things that make you happy.
  • An Art Journal to show your artsy side.
  • A Dream Diary for your wild night adventures.

Journaling Without Pressure

Don’t worry about making mistakes. Your journal is just for you. There’s no “right” way to do it. Just like talking to a friend, let your words flow easily (it’s also easier if you use some good pens for journaling and journal writing as well).

Start Small and Grow

If you’re new to journaling, begin with little steps. Write a few sentences each day. Then, as you get comfy, you can write more and more.


Using Prompts to Spark Ideas

Sometimes we don’t know what to write about. That’s okay! Use questions or prompts to give you a start. They can be simple like, “What made me smile today?”

Building a Journaling Habit

  1. Pick a time: Maybe right before bed or after school. Stick to it!
  2. Keep it handy: Have your journal nearby so you can write when you want.
  3. Set a timer: Even 5 minutes of journaling is great.
  4. Be patient: It might seem odd at first, but it gets easier!
  5. Track your progress: Mark your calendar each day you journal.

Trying Different Journal Ideas

There’s no end to what you can do in your journal. Here are some fun ideas:

Journal Idea How To Do It
Story Journal Write tiny stories or about your favorite book characters.
Nature Diary Write about cool rocks, leaves, or bugs you find outside.
Adventure Log Keep a record of new places you go or games you play.
Worry Journal Write down things that bother you and make them less scary.
Funny Moments Jot down jokes or funny things that happen.

Things to Remember

Even though journaling is fun, here are some things to keep in mind so it stays that way:

  • No need to be perfect. Your journal loves you just the way you are!
  • You don’t have to write every day. Write when you can.
  • Your journal is your secret. You don’t have to show it to anyone.

Now, You’re All Set To Be A Journaling Superstar!

Next to the text, the page also holds data records:
........
[1]
Entry from OMol25: a molecular structure, C16H29N3P2Ti in a non-equilibrium geometry (ωB97M-V/def2-TZVPD).

The geometry in ORCA input format:
```
! RIJCOSX wB97M-V def2-TZVPD def2/J DEFGRID3
* xyz 0 3
Ti 0.0630 -1.6623 -0.8947
H 2.3120 -2.1186 -1.9550
H 2.4165 -2.4176 -1.2560
P -1.0729 -1.1500 -3.1249
P -0.3988 -2.9606 1.1743
C -0.2494 -1.9107 2.6744
H -0.2830 -2.5028 3.6040
H 0.6960 -1.3519 2.6414
H -1.0767 -1.1905 2.6808
C -1.7878 -4.0807 1.6203
H -1.8779 -4.8609 0.8515
H -1.6742 -4.5618 2.6065
H -2.7081 -3.4817 1.6256
C 1.0555 -4.0811 1.4103
H 1.9706 -3.4719 1.3755
H 1.0394 -4.6263 2.3684
H 1.0754 -4.8140 0.5900
C -2.7370 -1.6634 -3.7147
H -2.9610 -1.3302 -4.7407
H -2.8229 -2.7571 -3.6748
H -3.4798 -1.2201 -3.0402
C -1.0636 0.6402 -3.5531
H -0.0392 1.0197 -3.4415
H -1.3869 0.8228 -4.5896
H -1.7193 1.1848 -2.8623
C 0.0303 -1.8029 -4.4566
H 0.0798 -2.9000 -4.3879
H -0.3031 -1.5270 -5.4712
H 1.0352 -1.3835 -4.3007
H -0.7299 -3.0497 -1.4007
H -1.5222 -2.1701 -0.6356
N 2.3814 7.3515 4.5889
C 2.1372 6.4243 3.9090
C 1.8261 5.3465 3.0786
C 2.6917 4.2515 2.8666
C 2.2902 3.1799 2.0351
C 1.0180 3.3017 1.4274
C 0.1965 4.4201 1.5684
C 0.5888 5.4345 2.4190
N 0.5078 2.2345 0.7291
C -0.7945 2.0769 0.1934
C -0.8841 0.7755 -0.2135
N 0.3461 0.1590 0.0297
C 1.1732 1.0628 0.5832
H 3.6781 4.2415 3.3532
H 2.9557 2.3143 1.8875
H -0.7701 4.4834 1.0329
H -0.1133 6.2663 2.5137
H -1.5519 2.8622 0.0200
H -1.7729 0.2902 -0.6409
H 2.2158 0.9035 0.8956
*
```

The calculation puts the energy above the lowest of the compared OMol25 structures with the same formula, charge and spin at 0.841 eV. The calculation puts the HOMO energy (alpha / beta) at -4.43 / -7.18 eV.

Results of the Mulliken charge analysis, in e, for atoms 1 through 2:
1. Ti -0.439
2. H -0.002



[2]
Entry from OMol25: C4H9NO3 in the gas phase in a non-equilibrium geometry (ωB97M-V/def2-TZVPD).

The geometry in ORCA input format:
```
! RIJCOSX wB97M-V def2-TZVPD def2/J DEFGRID3
* xyz 0 1
N 0.1126 1.7230 0.5520
C -0.1826 0.7906 -0.5799
C -1.3805 -0.1082 -0.1198
O -1.9675 -0.0178 1.1704
C 1.1178 0.0580 -1.0221
C 1.2465 -1.2760 -0.2535
O 1.8793 -2.1970 -0.6187
O 0.7824 -1.2862 1.0808
H -0.7559 2.0974 0.9299
H 0.6784 1.2616 1.2060
H -0.5415 1.3631 -1.4756
H -2.2258 0.1054 -0.7831
H -1.0976 -1.1520 -0.1281
H -1.3534 0.1682 1.8756
H 1.2321 -0.1120 -2.1895
H 1.9476 0.7159 -0.9937
H 0.5083 -2.1339 1.3494
*
```

The calculation puts the energy above the lowest of the compared OMol25 structures with the same formula, charge and spin at 2.201 eV. The calculation puts the HOMO energy at -9.47 eV. The SMILES is N[C@H](CO)CC(=O)O.

Results of the Mulliken charge analysis, in e, for atoms 1 through 2:
1. N -0.757
2. C 0.366



[3]
Entry from OMol25: 2 unconnected molecules or ions with the total composition C4H6FNO5 in a non-equilibrium geometry (ωB97M-V/def2-TZVPD).

The geometry in ORCA input format:
```
! RIJCOSX wB97M-V def2-TZVPD def2/J DEFGRID3
* xyz 0 1
O -1.7994 3.1542 -1.3748
C -1.6084 2.0162 -0.9291
........

Take your journal, a pen, and go on a journey inside your mind. Every page you fill is a step towards understanding your very own magical world better. And remember, the most important thing is to have fun and be you! Happy journaling!

Frequently Asked Questions On How To Get Better At Journaling: Proven Tips & Tricks

Why Do I Struggle To Journal?

Struggling to journal often stems from lack of routine, high expectations, or fear of imperfect entries. Distractions and prioritizing other activities can also hinder journaling habits.

How Do Beginners Start Journaling?

Begin by choosing a journal that resonates with you. Set a consistent time each day to write. Start with brief entries and be authentic. Embrace prompts to guide your writing. Stay dedicated and observe your progress.

What Are 10 Tips In Writing A Journal?

Choose a journal that inspires you. Set a regular time for writing. Start with concise entries. Utilize prompts if stuck. Experiment with various methods. Write honestly and freely. Don’t aim for perfection. Keep your journal private. Reflect on your entries.

Enjoy the process!

What Not To Do When Journaling?

Avoid obsessing over perfection; journaling is for self-reflection, not critique. Don’t limit yourself to a strict structure; let creativity flow. Resist the urge to self-censor; your journal is private. Never force journaling; wait for natural inspiration. Lastly, don’t overlook the process’s therapeutic value.